Kunsthalle Wien, wohnpartner and Arts of the Working Class present six new flags produced for selected Gemeindebauten in Vienna as part of the Weapons of Choice project. The flags display quotes from songs that were selected by residents of the Gemeindebauten in the context of an open call and deal with work, unemployment and workers’ rights.
Since 1945, Vienna’s municipal buildings have only hoisted the national flag. The exclusion created by the idea that “a nation is a community” is countered by the presence of the expressions of the diverse inhabitants of the Gemeindebauten. Symbolically, their texts exchange nationhood for a collective consciousness of solidarity action – they create signs and reclaim a voice and a space that we are deprived of under the capitalist economy and our position in it.
The 23rd issue of the Arts of the Working Class newspaper shares the same title as the flag series and will also include all flag motifs. Hence, it builds a connection between the Gemeindebauten buildings, Kunsthalle Wien Karlsplatz (where the exhibition In the meantime, midday comes around will be on view from November 10) and the class struggles in the city of Vienna and beyond. The real flags will fly in the wind until the red-white-red ones take their place again for the Austrian National Day.
The flags will be shown on the façades or roofs of the following Gemeindebauten in Vienna: Karl-Marx-Hof, Fischerstiege, Reumannhof, George-Washington-Hof, Metzleinstaler Hof and Gemeindebau Im Werd.
<<<
ORCA calculation (the ωB97M-V functional and the def2-TZVPD basis) on the molecule C20H20O6 at a distorted geometry.

Properties
LUMO energy = -0.0263 Ha
strongest force on any atom = 3.61 eV Å⁻¹
SMILES = C=Cc1c(C)c(O)c2cc3c(c(O)c2c1O)C(=O)[C@](C)(O)C(=O)C3(C)C
HOMO energy = -7.25 eV
spin multiplicity = 1
HOMO-LUMO gap = 0.24000 Ha
energy = -1225.53796 hartree
relative energy (zero: lowest compared OMol25 entry of this formula, charge and spin) = 0.1673 eV

Each line ends with the Löwdin charge.
Positions of all 46 atoms, in Å:
C  -0.34  5.69  2.41  0.03
C  0.51  4.60  2.29  -0.09
C  0.41  3.54  1.28  -0.12
C  -0.10  3.69  -0.04  -0.12
C  -0.33  5.07  -0.60  -0.05
C  -0.34  2.53  -0.83  -0.20
O  -0.95  2.72  -2.04  0.05
C  -0.11  1.23  -0.33  -0.10
C  -0.47  0.15  -1.07  0.03
C  -0.27  -1.17  -0.61  -0.06
C  0.36  -1.36  0.64  -0.02
C  0.77  -0.25  1.39  -0.11
O  1.22  -0.44  2.67  0.06
C  0.48  1.08  0.93  -0.01
C  0.78  2.24  1.70  -0.15
O  1.32  2.12  2.98  0.04
C  0.66  -2.72  1.09  -0.20
O  0.73  -2.94  2.29  0.10
C  0.76  -3.89  0.09  -0.35
C  0.66  -5.26  0.87  0.01
O  2.03  -3.96  -0.62  0.04
C  -0.40  -3.70  -0.88  -0.23
O  -0.97  -4.71  -1.33  0.11
C  -0.67  -2.33  -1.55  -0.40
C  0.19  -2.18  -2.79  -0.03
C  -2.18  -2.24  -1.97  -0.02
H  -0.19  6.48  3.16  0.05
H  -1.22  5.84  1.79  0.05
H  1.29  4.49  3.05  0.10
H  -0.04  5.10  -1.67  0.09
H  0.26  5.84  -0.11  0.08
H  -1.38  5.38  -0.55  0.10
H  -1.24  3.65  -2.05  0.09
H  -0.95  0.32  -2.00  0.10
H  1.10  -1.41  2.90  0.11
H  1.27  1.15  3.18  0.08
H  1.46  -5.37  1.58  0.09
H  0.67  -6.11  0.21  0.08
H  -0.28  -5.23  1.44  0.10
H  2.00  -4.63  -1.28  0.09
H  1.25  -2.16  -2.50  0.10
H  -0.01  -3.02  -3.51  0.11
H  -0.02  -1.24  -3.35  0.10
H  -2.82  -2.31  -1.10  0.08
H  -2.47  -1.26  -2.45  0.10
H  -2.43  -3.03  -2.72  0.10


ORCA calculation (the ωB97M-V functional and the def2-TZVPD basis) on a 3-piece molecular cluster, C20H21BrClNO10P overall at a distorted geometry.

Properties
LUMO energy = -0.1434 Ha
strongest force on any atom = 1.65 eV Å⁻¹
HOMO energy = -11.47 eV
spin multiplicity = 1
charge = +1
HOMO-LUMO gap = 0.27811 Ha
energy = -4957.13244 hartree

Each line ends with the Löwdin charge.
Positions of all 55 atoms, in Å:
C  -0.60  -3.41  4.19  0.20
C  -0.59  -2.76  3.19  -0.07
C  -0.59  -1.95  1.97  -0.35
C  -1.23  -2.82  0.85  -0.10
C  -2.16  -2.12  -0.13  -0.26
C  -3.52  -1.73  0.48  -0.58
Br  -3.97  0.12  0.13  0.71
C  -1.04  -0.52  2.15  -0.09
O  -0.41  0.15  1.06  -0.10
C  0.93  -0.25  1.10  -0.46
P  1.83  -0.30  -0.55  0.59
O  0.75  -1.07  -1.50  -0.34
Cl  1.71  1.61  -1.12  0.38
N  0.90  -1.64  1.71  0.16
H  -0.42  -4.10  4.98  0.06
H  -0.40  -3.24  0.28  0.12
H  -1.72  -3.66  1.32  0.13
H  -2.38  -2.84  -0.92  0.12
H  -1.68  -1.29  -0.64  0.05
H  -4.32  -2.36  0.12  0.07
H  -3.49  -1.84  1.56  0.05
H  -2.11  -0.33  2.22  0.11
H  -0.60  -0.10  3.07  0.15
H  1.48  0.45  1.73  0.09
H  1.11  -1.94  -1.70  0.07
H  1.45  -2.36  1.24  0.17
H  1.28  -1.52  2.66  0.18
>>>
The quotes were selected by: Benjamin Bartik, Stefan Bayreuther, Julia Haselböck, Markus Hirnsperger, Natascha Schmidhofer and Maria Schwarz
Graphic designers: Nour Shantout & Sonia Garziz, Thomas Spallek and Paul Sochacki
The Wiener Gemeindebau Choir will sing.
There will be food and drinks.
The focus of wohnpartner’s work lies on community and conflict work as well as networking in Vienna’s Gemeindebauten – with the aim of strengthening and improving housing satisfaction and the quality of life in the Gemeindebauten together with their residents.
For more info HERE.
How Many Monologues Make a Conversation?
Publishing table along our presentation within The Curators Breakfast hosted by viennacontemporary
at Stadtpark
September 10, 10am-12pm
What does the word on the street and the word in print have in common? How can we unite the least alienated with the most vulnerable in what we do? On the 10th of September, Arts of the Working Class will partake in a publishing table during The Curators Breakfast, a networking event for local and international curators within the frame of viennacontemporary, between 10am and 12pm at the Kursalon terrace in Stadtpark. The gathering will unfold and discuss the relationship between street newspapers, public space and artistic practice, as well as the collective ways of preserving their intersectional relation. In collaboration with Nina Prader (Lady Liberty Press / Indiecon - Independent Publishing Festival in Hamburg), a selection of independent publishing titles will be curated and presented.
Weapons of Choice: Markus Hirnsperger for Karl-Marx-Hof, quote by Starship from We Built this City, design by Pawel Sochacki